Green light for 700 cost rental and social homes in Cherry Orchard in Dublin

Posted by Dead_Parrot

_Inserted here: records of crystals_
- - -
Entry 1:
This entry pairs a crystal structure of SrPmB12 with its computed powder diffractogram. Radiation: Cu Kα (weighted mean of Kα1 and Kα2). Structure: a DFT-relaxed cell (GGA-PBE, Alexandria).
No peak broadening, texture or thermal motion is included.

Structure:
a b c (Å): 8.313 8.313 8.313
angles (deg): 90.00 90.00 90.00
Space group Fm-3m (No. 225)
Asymmetric unit:
Sr: 0.000 0.000 0.000
Pm: 0.000 0.000 0.500
B: 0.100 0.250 0.250

Largest 8 diffraction maxima, most intense first, 10° ≤ 2θ ≤ 80°:
2θ (°)  Rel. int.
30.41  100
21.38  55
49.00  48
37.48  43
67.61  29
54.04  25
43.55  22
71.82  20



Entry 2:
This entry pairs a crystal structure of CeHo4Er4 with its computed powder diffractogram. Radiation: Cu Kα (weighted mean of Kα1 and Kα2). Structure: a DFT-relaxed cell (GGA-PBE, Alexandria).
No peak broadening, texture or thermal motion is included.

Structure:
a b c (Å): 10.541 10.541 4.984
angles (deg): 90.00 90.00 90.00
Space group I4/mmm (No. 139)
Asymmetric unit:
Ce: 0.000 0.000 0.000
Ho: 0.000 0.333 0.000
Er: 0.166 0.166 0.500

Largest 8 diffraction maxima, most intense first, 10° ≤ 2θ ≤ 80°:
2θ (°)  Rel. int.
31.14  100
52.00  36
36.15  34
61.92  28
36.04  17
61.77  14
64.95  12
76.72  4

~~~~~

The following is a calculated powder X-ray diffraction pattern of Na2ScTiP3O12. It was derived from a crystal structure in the Materials Project, relaxed with PBE, using Cu Ka.
Lines closer than 0.1° are merged.

Main lines, low angle first (10 to 90 degrees two-theta):
hkl 2 0 0, 2θ 13.98, I 34; hkl 1 1 1, 2θ 19.63, I 42; hkl 3 1 -1, 2θ 20.07, I 22; hkl 3 1 -2, 2θ 23.36, I 100; hkl 0 2 1, 2θ 23.47, I 48; hkl 2 2 -2, 2θ 28.31, I 27; hkl 4 2 -1, 2θ 31.16, I 22; hkl 3 1 -3, 2θ 31.32, I 90; hkl 0 2 2, 2θ 31.41, I 31; hkl 3 3 -1, 2θ 35.29, I 29

Atomic structure:
```
data_Na2ScTiP3O12
_chemical_formula_sum 'Na8 Sc4 Ti4 P12 O48'
_cell_length_a 15.356
_cell_length_b 8.792
_cell_length_c 9.051
_cell_angle_alpha 90.00
_cell_angle_beta 124.27
_cell_angle_gamma 90.00
_space_group_name_H-M_alt 'C 1 c 1'
_space_group_IT_number 9
_space_group_name_Hall 'C -2yc'
loop_
_atom_site_label
_atom_site_fract_x
_atom_site_fract_y
_atom_site_fract_z
Na1 0.000 0.113 0.000
Na2 0.248 0.251 0.248
Sc1 0.105 0.254 0.809
Ti1 0.393 0.244 0.695
P1 0.144 0.109 0.497
P2 0.355 0.397 0.006
P3 0.496 0.042 0.502
O1 0.043 0.179 0.326
O2 0.065 0.445 0.666
O3 0.068 0.350 0.981
O4 0.140 0.133 0.660
O5 0.147 0.064 0.979
O6 0.244 0.185 0.522
O7 0.257 0.329 0.983
O8 0.355 0.425 0.517
O9 0.363 0.363 0.841
O10 0.418 0.143 0.516
O11 0.429 0.065 0.833
O12 0.452 0.333 0.176
```


The following is a calculated powder X-ray diffraction pattern of Na4ScZnP3O12. It was derived from a crystal structure in the Materials Project, relaxed with PBE, using Cu Ka.
Lines closer than 0.1° are merged.

Main lines, low angle first (10 to 90 degrees two-theta):
- - -


  1. boardsmember2017 on

    Need to be doing this on enormous scale tbh, private interests need to be fully removed from the property owning/building process full stop. Profiteering on property should be made illegal.

  2. Substantial_Rope8225 on

    Cherry Orchard is a kip, I hope they plan on building some schools and other social facilities out there otherwise it’s just going to make the place worse

  3. Submitting an objection for “overlooking”. The poors and foreigners who inhabit these…apartments are degenerates who only want to live in apartments so they can perv over the rest of us!

  4. Said it in the post yesterday…
    We need more home…
    Yes it’s not the greatest area, and Ballyfermot is at capacity. Schools and GP’s are full. Buses are full before they get to Cherry Orchard and then factor in the anti-social behaviour in Cherry Orchard.
    They are across from Cederbrook so not in Cherry Orchard….but still.

    There are no shops up there at all.

  5. As someone from the area, there is fuck all infrastructure up that way. It’s all well and good putting these up, but there’s nothing in Cherrier to support all those people moving in. Look at parkwest ffs.

    They are knocking down the schools and bringing thousands of more people in the area… With less schools and doctors. No forward thinking at all.

  6. The government letting its citizens down again . Instead of building homes to buy this shower of muppets are now letting foreign investors build house to rent to people. FG/FF need to be dragged out of thr Dail.

  7. If they keep building social and affordable housing with no additional resources, in about 10-20 years West Dublin will make 80s Ballymun look like a fucking utopia. No schools, no civic offices, businesses, nothing.

    I’ve just moved into a new estate in Clondalkin and while there is a Lidl going in, no school, the playground they built was already removed after about a week due to noise complaints and the creche they promised will now instead be, you guessed it, more houses.

    I’m not against social housing, but just dumping it all in the same place and saying ‘good enough’ is not the solution, it’s just another slum in the making.

  8. Mundane-Audience6085 on

    They call it Cherry Orchard Point but it really isn’t going to do anything for Cherry Orchard itself. Cherry Orchard is the most deprived location in this area and starting a new community at the bottom edge does very little to the area that needs support. It’s almost as if they have given up on the area. Also good luck to anybody trying to get out of there by car. Cloverhill Road going up to Liffey Valley is already piling up at busy times.